Cambodia 's industrial sector is at a crossroads. The largest manufacturing subsectors have reached maturity; to maintain sector expansion, new ways must be found to access new and more premium markets. The policy aim is to develop new “creative and highly competitive [sectors] that focus[es] not only on consumer products but also production equipment.”
This study, The Economic, Social and Environmental Impacts of Greening the Industrial Sector in Cambodia, provides evidence on the economics and social benefits of greening the industrial sector of Cambodia, based on a robust economic analysis that included a quantitative study and integrated modelling and scenario analysis. It aims to inform the development of green growth priorities in the next phase (2019-2023) of Cambodia' national policy and investment plan, National Strategic Development Plan (NSDP).
It includes an assessment of the required investment for resource efficiency improvements and the adoption of sustainable energy sources, as well as the resulting avoided costs and added benefits for four industrial subsectors:
- Food processing (as part of the Food, Beverages, and Tobacco sector included in GDP statistics),
- Construction (with a focus on bricks production),
- Manufacturing of Non-Metallic Mineral Products, and
- Garments manufacturing (as part of the Textile, Wearing Apparel, and Footwear sector included in GDP statistics).
+++
No. 1
Below is a molecular structure, C48H39N4PtSi, with properties calculated with the ωB97M-V functional and the def2-TZVPD basis.

For the electronic energy, the calculation gives -67494.2387 eV. Its spin multiplicity is 1. The charge is -1. The frontier orbital gap (alpha / beta) comes out at 5.211 / 5.211 eV. For the highest occupied orbital energy (alpha / beta), the calculation gives -3.0311 / -3.0318 eV.

```
93
Properties=species:S:1:pos:R:3:mulliken_charge:R:1
Pt 0.1532 -0.1695 1.0164 0.88
C 7.2647 2.4255 1.0462 -0.42
C 6.3699 3.1691 1.8058 -0.74
C 5.1178 2.6647 2.1117 -0.26
C 4.7139 1.3983 1.6671 0.65
C 5.6154 0.6784 0.8707 -0.34
C 6.8745 1.1778 0.5786 -0.95
C 3.3809 0.8949 1.9965 1.14
C 2.2992 1.8138 2.2471 -0.31
C 1.3023 1.9237 3.1440 -1.60
C 0.4838 2.6412 2.1370 0.26
C 0.5256 1.8847 0.7871 0.90
N 1.6795 2.6625 1.2239 -0.39
C -0.2660 2.4514 -0.3277 -0.37
C -1.3829 1.7006 -0.5567 0.12
C -2.6381 1.8969 -1.2648 -1.45
C -3.4220 0.8322 -0.9977 -0.98
C -2.6900 -0.0773 -0.1264 0.49
C -3.1038 -1.2569 0.4113 0.71
C -4.4838 -1.7260 0.1114 -0.56
C -5.5919 -1.0380 0.5981 -0.13
C -6.8803 -1.4614 0.2985 -0.80
C -7.0784 -2.5856 -0.4887 -0.37
C -5.9800 -3.2850 -0.9737 -0.81
C -4.6955 -2.8589 -0.6745 0.07
C -2.2802 -2.0970 1.2333 0.55
N -0.9390 -1.8928 1.5060 0.20
C -0.5138 -2.9678 2.2386 -0.22
C 0.8567 -3.1919 2.6002 1.64
C 1.1868 -4.5543 3.1063 -0.73
C 1.6576 -4.7398 4.4043 -0.09
C 1.9775 -6.0073 4.8739 -0.80
C 1.8244 -7.1134 4.0514 -0.39
C 1.3467 -6.9426 2.7579 -0.87
C 1.0287 -5.6765 2.2928 0.13
C 1.8694 -2.2958 2.4371 0.15
C 3.2736 -2.6203 2.6415 -1.18
C 3.9972 -1.5199 2.3938 -1.97
C 3.0644 -0.4404 2.0968 0.05
N 1.7860 -0.9573 2.0554 0.28
C -1.5864 -3.8385 2.4687 -1.27
C -2.6961 -3.2908 1.8396 -1.38
N -1.4540 0.4899 0.0803 -0.17
C 0.0400 3.6707 -1.0894 0.68
C -0.2682 3.7215 -2.4558 -0.40
C -0.0486 4.8661 -3.2061 -0.91
C 0.5064 5.9916 -2.6147 -0.38
C 0.8425 5.9509 -1.2681 -0.89
C 0.6156 4.8108 -0.5143 -0.09
H 8.2446 2.8199 0.8083 0.37
H 6.6527 4.1515 2.1655 0.38
H 4.4265 3.2491 2.7068 0.41
H 5.3069 -0.2724 0.4539 0.46
H 7.5485 0.5969 -0.0401 0.36
H 1.0899 1.4577 4.0939 0.33
H -0.1587 3.5071 2.2443 0.52
H -2.8863 2.7646 -1.8543 0.65
H -4.4301 0.6606 -1.3411 0.56
H -5.4325 -0.1645 1.2185 0.45
H -7.7306 -0.9134 0.6857 0.37
H -8.0823 -2.9176 -0.7224 0.37
H -6.1260 -4.1625 -1.5916 0.37
H -3.8363 -3.4002 -1.0516 0.41
H 1.7713 -3.8738 5.0450 0.43
H 2.3430 -6.1295 5.8862 0.37
H 2.0733 -8.1027 4.4150 0.36
H 1.2262 -7.8000 2.1068 0.38
H 0.6582 -5.5427 1.2840 0.46
H 3.6355 -3.5871 2.9515 0.54
H 5.0628 -1.3926 2.4937 0.65
H -1.5381 -4.7569 3.0310 0.56
H -3.6945 -3.6950 1.8018 0.55
H -0.6631 2.8326 -2.9317 0.42
H -0.2945 4.8710 -4.2613 0.36
H 0.6876 6.8855 -3.1984 0.37
H 1.2885 6.8185 -0.7968 0.38
H 0.8973 4.7939 0.5274 0.36
C -0.7727 -1.7196 -2.4131 -0.64
Si 0.9839 -1.7098 -1.7698 -0.28
C 2.1617 -1.5246 -3.2313 -1.21
C 1.3418 -3.3254 -0.8992 -0.67
C 1.3402 -0.2312 -0.6753 -0.50
H -0.8746 -2.4455 -3.2244 0.55
H -1.0733 -0.7385 -2.7897 0.19
+++
These sectors were selected based on the following criteria: (a) national economic significance such as share of GDP and employment, (b) reliance on natural resources and climate vulnerability, and (c) a qualitative assessment of future competitiveness (informed by stakeholder input).
The research shows that green industry investment generates positive financial returns for firms and for society, resulting in economy-wide benefits; reduces costs by lowering consumption of production inputs (e.g., materials, energy, and water) and mitigating the negative environmental impacts of production; reduces societal costs, i.e. public expenditure and costs for households relating to water and air pollution and resulting health impacts; and generates new opportunities, particularly in emerging sectors, which will be poised to grow with higher profit margins and a smaller environmental footprint.
The report argues that effective policy interventions are needed to promote or incentivize green indutsry investment. It outlines several available options, including the provision of incentives, the introduction of new regulations/mandates, and capacity building and awareness raising.